• Excerpt:
'''
<1>
The following is a PBE calculation of a relaxed structure of PuTcP, from the Alexandria database.

```
PuTcP
1.0
3.8781 0.0000 -1.0113
-0.2637 3.8691 -1.0113
-0.1512 -0.1619 7.3616
Pu Tc P
2 2 2
Cartesian
2.3449 2.5102 1.0508
1.1182 1.1971 4.2882
1.9390 0.0000 -0.5056
-0.1319 1.9345 -0.5056
0.3790 0.4057 1.4534
3.0841 3.3015 3.8856
```

Calculated values
The calculated volume is 109.2 Å³/cell. The total magnetization is 4.96 μB per formula unit.

***

<2>
The following is a PBE calculation of a relaxed structure of PuTcP, from the Alexandria database.

```
PuTcP
1.0
3.8440 0.0000 0.0000
0.0000 4.1069 0.0000
0.0000 -2.0534 3.5567
P Tc Pu
1 1 1
Cartesian
0.6408 0.0000 0.0000
0.6405 0.0000 2.3711
2.5627 2.0534 1.1856
```

Calculated values
The calculated volume is 56.1 Å³/cell. The total magnetization is 4.59 μB per formula unit.

***

<3>
The following is a PBE calculation of a relaxed structure of PuTcP, from the Alexandria database.

```
PuTcP
1.0
3.1125 0.0000 0.0000
0.0000 3.1125 0.0000
-1.5563 -1.5563 5.3860
P Tc Pu
1 1 1
Cartesian
0.0000 0.0000 3.2242
1.5563 1.5563 2.1931
1.5563 1.5563 5.3548
```

Calculated values
The calculated volume is 52.2 Å³/cell. The total magnetization is 5.34 μB per formula unit.

***

<4>
The following is a PBE calculation of a relaxed structure of PuTcP, from the Alexandria database.

```
PuTcP
1.0
-3.0350 -2.1414 -1.6658
-1.3858 -0.9252 3.7143
-3.8385 5.4905 -0.0645
Pu Tc P
2 2 2
Cartesian
-2.1066 -0.2281 -0.8428
-3.9423 4.1853 1.8025
-4.1297 1.2119 0.9920
-1.9193 2.7452 -0.0323
-4.1849 2.7446 -0.8777
-1.8640 1.2126 1.8374
```

Calculated values
The calculated volume is 111.0 Å³/cell. The total magnetization is 5.77 μB per formula unit.

***

Quick one: least stable of them? <3>

***

<1>
The following is a PBE calculation of a relaxed structure of PuTcP2, from the Alexandria database.

```
PuTcP2
1.0
-0.2034 3.5795 -1.4472
-3.4265 1.4942 -0.9874
-1.7740 3.6475 4.1063
P Tc Pu
2 1 1
Cartesian
-1.3221 2.0803 0.1666
-4.0818 6.6408 1.5051
0.0000 0.0000 0.0000
-2.7020 4.3606 0.8359
```

Calculated values
The calculated volume is 68.9 Å³/cell. The total magnetization is 4.23 μB per formula unit.

***

<2>
The following is a PBE calculation of a relaxed structure of PuTcP2, from the Alexandria database.

```
PuTcP2
1.0
3.1043 0.0117 0.3705
-0.0114 3.2145 -0.0062
-0.7903 -1.6012 6.6133
Pu Tc P
1 1 2
Cartesian
0.6766 2.4710 1.7085
0.2757 0.8660 5.1135
2.0417 0.8712 3.5088
1.7019 -0.7346 6.4023
```

Calculated values
The calculated volume is 66.9 Å³/cell. The total magnetization is 5.09 μB per formula unit.

***

<3>
The following is a PBE calculation of a relaxed structure of PuTcP2, from the Alexandria database.

```
PuTcP2
1.0
3.8731 0.0332 0.0000
0.0467 3.9098 0.0000
0.0000 0.0000 19.1715
Pu Tc P
4 4 8
Cartesian
0.9448 2.8164 11.7183
2.8579 0.8781 17.0389
2.9750 1.1266 7.4531
1.0618 3.0649 2.1326
0.9236 0.8635 14.3827
2.8834 2.8350 14.3744
2.9962 3.0795 4.7887
1.0363 1.1080 4.7970
1.0847 0.7840 9.6009
3.0446 2.7555 19.1563
2.8350 3.1590 9.5706
0.8751 1.1875 0.0151
0.9485 2.8205 15.7957
2.8616 0.8822 12.9615
2.9713 1.1225 3.3758
1.0581 3.0608 6.2099
```

Calculated values
The calculated volume is 290.3 Å³/cell. The total magnetization is 5.20 μB per formula unit.

***

<4>
The following is a PBE calculation of a relaxed structure of PuTcP2, from the Alexandria database.

```
PuTcP2
1.0
3.6612 0.0000 0.0000
1.8306 3.1707 0.0000
1.8306 1.0569 6.2155
Pu Tc P
1 1 2
Cartesian
5.4918 3.1707 6.1242
3.6612 2.1138 3.1887
1.8306 1.0569 4.3536
1.8306 1.0569 1.8722
```

Calculated values
The calculated volume is 72.2 Å³/cell. The total magnetization is 5.88 μB per formula unit.

***

Quick one: least stable of them? <2>

***

<1>
The following is a PBE calculation of a relaxed structure of Pu2TcP, from the Alexandria database.

```
Pu2TcP
1.0
-0.9217 -2.9167 1.9574
3.3867 -0.2007 1.2956
-1.4607 3.3747 4.3408
P Tc Pu
1 1 2
Cartesian
1.2325 -1.5587 1.6265
0.5022 0.1287 3.7969
-1.1120 2.5692 3.3047
'''
• Work order:
Your job: print the entries further above without altering anything.
• Reply:
<1>
The following is a PBE calculation of a relaxed structure of PuTcP, from the Alexandria database.

```
PuTcP
1.0
3.8781 0.0000 -1.0113
-0.2637 3.8691 -1.0113
-0.1512 -0.1619 7.3616
Pu Tc P
2 2 2
Cartesian
2.3449 2.5102 1.0508
1.1182 1.1971 4.2882
1.9390 0.0000 -0.5056
-0.1319 1.9345 -0.5056
0.3790 0.4057 1.4534
3.0841 3.3015 3.8856
```

Calculated values
The calculated volume is 109.2 Å³/cell. The total magnetization is 4.96 μB per formula unit.

***

<2>
The following is a PBE calculation of a relaxed structure of PuTcP, from the Alexandria database.

```
PuTcP
1.0
3.8440 0.0000 0.0000
0.0000 4.1069 0.0000
0.0000 -2.0534 3.5567
P Tc Pu
1 1 1
Cartesian
0.6408 0.0000 0.0000
0.6405 0.0000 2.3711
2.5627 2.0534 1.1856
```

Calculated values
The calculated volume is 56.1 Å³/cell. The total magnetization is 4.59 μB per formula unit.

***

<3>
The following is a PBE calculation of a relaxed structure of PuTcP, from the Alexandria database.

```
PuTcP
1.0
3.1125 0.0000 0.0000
0.0000 3.1125 0.0000
-1.5563 -1.5563 5.3860
P Tc Pu
1 1 1
Cartesian
0.0000 0.0000 3.2242
1.5563 1.5563 2.1931
1.5563 1.5563 5.3548
```

Calculated values
The calculated volume is 52.2 Å³/cell. The total magnetization is 5.34 μB per formula unit.

***

<4>
The following is a PBE calculation of a relaxed structure of PuTcP, from the Alexandria database.

```
PuTcP
1.0
-3.0350 -2.1414 -1.6658
-1.3858 -0.9252 3.7143
-3.8385 5.4905 -0.0645
Pu Tc P
2 2 2
Cartesian
-2.1066 -0.2281 -0.8428
-3.9423 4.1853 1.8025
-4.1297 1.2119 0.9920
-1.9193 2.7452 -0.0323
-4.1849 2.7446 -0.8777
-1.8640 1.2126 1.8374
```

Calculated values
The calculated volume is 111.0 Å³/cell. The total magnetization is 5.77 μB per formula unit.

***

Quick one: least stable of them? <3>

***

<1>
The following is a PBE calculation of a relaxed structure of PuTcP2, from the Alexandria database.

```
PuTcP2
1.0
-0.2034 3.5795 -1.4472
-3.4265 1.4942 -0.9874
-1.7740 3.6475 4.1063
P Tc Pu
2 1 1
Cartesian
-1.3221 2.0803 0.1666
-4.0818 6.6408 1.5051
0.0000 0.0000 0.0000
-2.7020 4.3606 0.8359
```

Calculated values
The calculated volume is 68.9 Å³/cell. The total magnetization is 4.23 μB per formula unit.

***

<2>
The following is a PBE calculation of a relaxed structure of PuTcP2, from the Alexandria database.

```
PuTcP2
1.0
3.1043 0.0117 0.3705
-0.0114 3.2145 -0.0062
-0.7903 -1.6012 6.6133
Pu Tc P
1 1 2
Cartesian
0.6766 2.4710 1.7085
0.2757 0.8660 5.1135
2.0417 0.8712 3.5088
1.7019 -0.7346 6.4023
```

Calculated values
The calculated volume is 66.9 Å³/cell. The total magnetization is 5.09 μB per formula unit.

***

<3>
The following is a PBE calculation of a relaxed structure of PuTcP2, from the Alexandria database.

```
PuTcP2
1.0
3.8731 0.0332 0.0000
0.0467 3.9098 0.0000
0.0000 0.0000 19.1715
Pu Tc P
4 4 8
Cartesian
0.9448 2.8164 11.7183
2.8579 0.8781 17.0389
2.9750 1.1266 7.4531
1.0618 3.0649 2.1326
0.9236 0.8635 14.3827
2.8834 2.8350 14.3744
2.9962 3.0795 4.7887
1.0363 1.1080 4.7970
1.0847 0.7840 9.6009
3.0446 2.7555 19.1563
2.8350 3.1590 9.5706
0.8751 1.1875 0.0151
0.9485 2.8205 15.7957
2.8616 0.8822 12.9615
2.9713 1.1225 3.3758
1.0581 3.0608 6.2099
```

Calculated values
The calculated volume is 290.3 Å³/cell. The total magnetization is 5.20 μB per formula unit.

***

<4>
The following is a PBE calculation of a relaxed structure of PuTcP2, from the Alexandria database.

```
PuTcP2
1.0
3.6612 0.0000 0.0000
1.8306 3.1707 0.0000
1.8306 1.0569 6.2155
Pu Tc P
1 1 2
Cartesian
5.4918 3.1707 6.1242
3.6612 2.1138 3.1887
1.8306 1.0569 4.3536
1.8306 1.0569 1.8722
```

Calculated values
The calculated volume is 72.2 Å³/cell. The total magnetization is 5.88 μB per formula unit.

***

Quick one: least stable of them? <2>

***

<1>
The following is a PBE calculation of a relaxed structure of Pu2TcP, from the Alexandria database.

```
Pu2TcP
1.0
-0.9217 -2.9167 1.9574
3.3867 -0.2007 1.2956
-1.4607 3.3747 4.3408
P Tc Pu
1 1 2
Cartesian
1.2325 -1.5587 1.6265
0.5022 0.1287 3.7969
-1.1120 2.5692 3.3047